**To do:**
Say how many lines of the notes further down hold the word "NdCoGe2", as a bare number.

**Contents:**
<<<
# PBE-GGA NdCoGe3, optimized geometry
data_NdCoGe3
_cell_length_a 4.326
_cell_length_b 4.326
_cell_length_c 9.917
_cell_angle_alpha 90.00
_cell_angle_beta 90.00
_cell_angle_gamma 90.00
_space_group_name_H-M_alt 'I 4 m m'
_space_group_IT_number 107
_space_group_name_Hall 'I 4 -2'
loop_
_atom_site_label
_atom_site_fract_x
_atom_site_fract_y
_atom_site_fract_z
_atom_site_occupancy
Nd1 0.000 0.000 0.000 1
Co1 0.000 0.000 0.333 1
Ge1 0.000 0.000 0.564 1
Ge2 0.000 0.500 0.241 1
# energy of formation from the pure elements: -2.84 eV per formula unit
# final energy: -5.716 eV per atom

# PBE-GGA Nd6Co5Ge2, optimized geometry
data_Nd6Co5Ge2
_cell_length_a 4.156
_cell_length_b 9.263
_cell_length_c 15.266
_cell_angle_alpha 90.00
_cell_angle_beta 90.00
_cell_angle_gamma 90.00
_space_group_name_H-M_alt 'A m m 2'
_space_group_IT_number 38
loop_
_space_group_symop_operation_xyz
'x,y,z'
'-x,-y,z'
'-x,y,z'
'x,-y,z'
'x,y+1/2,z+1/2'
'-x,-y+1/2,z+1/2'
'-x,y+1/2,z+1/2'
'x,-y+1/2,z+1/2'
loop_
_atom_site_label
_atom_site_fract_x
_atom_site_fract_y
_atom_site_fract_z
_atom_site_occupancy
Nd1 0.000 0.000 0.000 1
Nd2 0.000 0.198 0.800 1
Nd3 0.500 0.000 0.363 1
Nd4 0.500 0.235 0.117 1
Co1 0.500 0.000 0.541 1
Co2 0.500 0.000 0.718 1
Co3 0.500 0.000 0.868 1
Co4 0.500 0.221 0.938 1
Ge1 0.000 0.000 0.205 1
Ge2 0.000 0.000 0.621 1
# energy of formation from the pure elements: -1.10 eV per formula unit
# final energy: -5.730 eV per atom

# PBE-GGA Nd4Co3Ge8, optimized geometry
data_Nd4Co3Ge8
_cell_length_a 4.199
_cell_length_b 4.256
_cell_length_c 16.610
_cell_angle_alpha 90.00
_cell_angle_beta 90.00
_cell_angle_gamma 90.00
_space_group_name_H-M_alt 'P m m 2'
_space_group_IT_number 25
loop_
_space_group_symop_operation_xyz
'x,y,z'
'-x,-y,z'
'-x,y,z'
'x,-y,z'
loop_
_atom_site_label
_atom_site_fract_x
_atom_site_fract_y
_atom_site_fract_z
_atom_site_occupancy
Nd1 0.000 0.000 0.000 1
Nd2 0.000 0.500 0.498 1
Nd3 0.500 0.000 0.212 1
Nd4 0.500 0.500 0.714 1
Co1 0.000 0.000 0.791 1
Co2 0.000 0.500 0.294 1
Co3 0.500 0.500 0.925 1
Ge1 0.000 0.000 0.360 1
Ge2 0.000 0.000 0.652 1
Ge3 0.000 0.500 0.154 1
Ge4 0.000 0.500 0.857 1
Ge5 0.500 0.000 0.558 1
Ge6 0.500 0.000 0.857 1
Ge7 0.500 0.500 0.062 1
Ge8 0.500 0.500 0.359 1
# energy of formation from the pure elements: -9.81 eV per formula unit
# final energy: -5.813 eV per atom

# PBE-GGA NdCoGe2, optimized geometry
data_NdCoGe2
_cell_length_a 4.261
_cell_length_b 16.642
_cell_length_c 4.235
_cell_angle_alpha 90.00
_cell_angle_beta 90.00
_cell_angle_gamma 90.00
_space_group_name_H-M_alt 'C m c m'
_space_group_IT_number 63
_space_group_name_Hall '-C 2c 2'
loop_
_atom_site_label
_atom_site_fract_x
_atom_site_fract_y
_atom_site_fract_z
_atom_site_occupancy
Nd1 0.000 0.107 0.250 1
Co1 0.000 0.317 0.250 1
Ge1 0.000 0.250 0.750 1
Ge2 0.000 0.454 0.250 1
# energy of formation from the pure elements: -2.64 eV per formula unit
# final energy: -5.940 eV per atom

# PBE-GGA CoNiGe, optimized geometry
data_CoNiGe
_cell_length_a 4.0103
_cell_length_b 4.0103
_cell_length_c 5.0325
_cell_angle_alpha 90.00
_cell_angle_beta 90.00
_cell_angle_gamma 120.00
_space_group_name_H-M_alt 'P 63/m m c'
_space_group_IT_number 194
_space_group_name_Hall '-P 6c 2c'
loop_
_atom_site_label
_atom_site_fract_x
_atom_site_fract_y
_atom_site_fract_z
_atom_site_occupancy
Co1 0.3333 0.6667 0.2500 1
Ni1 0.0000 0.0000 0.0000 1
Ge1 0.3333 0.6667 0.7500 1
# energy of formation from the pure elements: -0.59 eV per formula unit
# final energy: -6.032 eV per atom

# PBE-GGA CoNiGe, optimized geometry
data_CoNiGe
_cell_length_a 3.9941
_cell_length_b 3.9941
_cell_length_c 5.0823
_cell_angle_alpha 90.00
_cell_angle_beta 90.00
_cell_angle_gamma 120.00
_space_group_name_H-M_alt 'P 63/m m c'
_space_group_IT_number 194
_space_group_name_Hall '-P 6c 2c'
loop_
_atom_site_label
_atom_site_fract_x
_atom_site_fract_y
_atom_site_fract_z
_atom_site_occupancy
Co1 0.0000 0.0000 0.0000 1
Ni1 0.3333 0.6667 0.2500 1
Ge1 0.3333 0.6667 0.7500 1
>>>

**Outcome:**
1